HR5-11: Mapping and addressing risks

Annually, Electrolux tracks areas that pose challenges to upholding high standards in human rights such as protecting freedom of association, the abolition of child labor and forced and compulsory labor.

The Group maps its operations and suppliers against geographical areas considered sensitive by external sources such as Maplecroft, Transparency International and Amnesty International due to weak legislation or poor enforcement of existing laws.

Operations in countries with high, medium and low human rights risks are identified. The high-risk regions with Electrolux manufacturing facilities are:

  • Argentina
  • Brazil
  • Chile
  • China
  • Egypt
  • Mexico
  • Romania
  • Thailand
  • Ukraine

See also the enclosed map of Electrolux operations.

Electrolux conducted 14 (11) internal Code of Conduct audits by combined teams of Electrolux representatives and third party auditors, and were concentrated in Latin America, Asia Pacific and Egypt. In 2012 the focus will shift to Eastern Europe.

A facility’s risk classification is adjusted depending on its past performance, taking into account additional information such as number of employees, types of activities, Ethics Helpline records and customer requests.

The internal Code of Conduct audit is defined according to the outcomes of this preliminary risk assessment. The audit identifies non-compliances and corrective actions are taken as a result.

Similarly, supplier audits focus on high- and medium-risk suppliers and address non-compliance through mandatory corrective actions as well as support activities such as training.

In 2012 Electrolux will initiate a review of its human rights approach in the light of changes to the OECD Guidelines for Multinational Enterprises and new UN Guiding Principles on Business and Human Rights (the ‘Ruggie framework’).

Freedom of association

In those regions where worker associations are not possible due to national praxis, each unit and its suppliers are expected to find appropriate and legal mechanisms through which workers can effectively express workplace concerns to management.

Records are to be kept from these formalized consultations and be made available upon request. See also Management approach: Labor practices.

Under-aged workers in the supply chain

Electrolux uncovered 8 (24) cases of under-age workers (below 15 years) in the supply chain. The Group’s supplier audits reveal that issues relating to under-age labor are less prevalent than previous years. This is primarily a problem in Asia Pacific. The majority of cases recorded relate to insufficient protection of authorized minors (16-18 years). In dealing with under-aged workers, Electrolux puts the welfare of the child first, as described in Management approach: Human rights.

Forced and compulsory labor

Electrolux complies fully with California’s Transparency in Supply Chains Act and ensures that it is non-complicit in infringements in forced and bonded labor within its sphere of influence.

== Molecular data that have nothing to do with the page ==
<<<
a | 2 unconnected molecules or ions with the total composition C3H7NO3, computed with wB97M-V/def2-TZVPD.

Structure (XYZ):
```
14
Properties=species:S:1:pos:R:3:nbo_charge:R:1
N 1.34609 -1.69101 0.19611 -0.82
C 1.46872 -0.36013 -0.00059 0.85
O 1.05421 0.51484 0.80836 -0.65
O 2.69481 -0.12193 -0.54645 -0.70
H 1.90267 -2.36217 -0.30391 0.40
H 0.43741 -2.03291 0.48222 0.43
H 2.89905 0.81986 -0.46961 0.50
C -1.61139 1.38432 -0.00766 -0.73
C -1.59548 -0.09816 -0.16983 0.43
O -1.20911 -0.93597 0.66165 -0.54
H -1.83329 1.84187 -0.97252 0.21
H -0.65041 1.77836 0.31705 0.27
H -2.38776 1.69466 0.69205 0.25
H -2.51552 -0.43163 -0.68687 0.11
```

Summary:
Lowest unoccupied orbital energy (eV): 0.317
SMILES: NC(=O)O.CC=O
Spin multiplicity: 1

---

b | A single C3H7NO3 molecule, computed with wB97M-V/def2-TZVPD.

Structure (XYZ):
```
14
Properties=species:S:1:pos:R:3:nbo_charge:R:1
C -1.00616 -2.01722 -0.86029 -0.25
O -0.38394 -0.67658 -0.81247 -0.50
C -0.49809 -0.06977 0.30705 0.86
O -1.32495 -0.32862 1.17985 -0.68
N 0.54170 0.91163 0.58792 -0.18
C 1.52275 1.40457 -0.25873 -0.42
O 0.13333 1.76223 1.66265 -0.57
H -2.17165 -1.84326 -0.66420 0.21
H -0.57590 -2.56644 -0.07305 0.20
H -0.88646 -2.31631 -1.86261 0.20
H 2.30349 1.66884 0.50434 0.22
H 1.16099 2.18665 -0.93813 0.19
H 1.88553 0.51883 -0.70594 0.22
H -0.70063 1.36546 1.93360 0.49
```

Summary:
Lowest unoccupied orbital energy (eV): 0.791
SMILES: COC(=O)N(C)O
Spin multiplicity: 1

---

c | A single C3H7NO3 molecule, computed with wB97M-V/def2-TZVPD.

Structure (XYZ):
```
14
Properties=species:S:1:pos:R:3:nbo_charge:R:1
C 1.32256 0.50835 0.01629 -0.65
C -0.05993 -0.13776 -0.36303 0.39
O 0.28315 -1.38742 -0.74464 -0.70
C -0.71159 0.69337 -1.49324 0.43
O -1.12131 0.14967 -2.46996 -0.50
O -1.01569 -0.08688 0.69647 -0.41
N -0.61753 -0.56906 1.90157 -0.52
H 2.08730 -0.21439 0.10453 0.24
H 1.35217 1.12685 0.93385 0.23
H 1.76011 1.29221 -0.80578 0.21
H -0.35956 -1.85189 -1.21443 0.49
H -0.78900 1.81513 -1.32472 0.12
H -0.99697 0.08922 2.72199 0.34
H -1.13371 -1.42739 2.04109 0.34
```

Summary:
Lowest unoccupied orbital energy (eV): 0.805
SMILES: C[C@](O)(C=O)ON
Spin multiplicity: 1

---

d | 2 unconnected molecules or ions with the total composition C3H7NO3, computed with wB97M-V/def2-TZVPD.

Structure (XYZ):
```
14
Properties=species:S:1:pos:R:3:nbo_charge:R:1
O -0.57102 0.30819 -1.64886 -0.48
C 0.02651 -0.29640 -0.81691 0.43
C 0.41181 0.25436 0.54878 -0.34
N -0.56709 -0.21111 1.53861 -0.61
C -1.52464 0.62712 2.03280 0.53
O -1.41539 1.82732 2.02332 -0.59
H 0.48563 -1.29308 -0.99961 0.10
H 0.42717 1.33663 0.60897 0.25
H 1.42543 -0.05840 0.80125 0.21
H -0.75268 -1.18709 1.46176 0.38
H -2.38414 0.09845 2.46621 0.12
O 2.81046 -1.80844 -2.76904 -0.96
H 3.03715 -2.47597 -3.41775 0.48
H 2.02739 -1.31362 -3.01902 0.48
```

Summary:
Lowest unoccupied orbital energy (eV): 0.540
SMILES: O=CCNC=O.O
Spin multiplicity: 1

---

Which structure wins on stability? d wins.

---
>>>

Security practices and indigenous rights

As stipulated in the Workplace Standard, the purpose of security guards is to ensure the safety of employees and protect the premises, not to stop employees from leaving the workplace.

Electrolux does not report on indigenous rights as these are not deemed to be among the most material issues to the company on the basis of the GRI Reporting Principles and according to Human Rights assessments conducted of its operations.

Assessment and remediation

All manufacturing sites, most warehouses and most offices carry out the Code of Conduct self-assessment, involving a high level review of human rights risk. Annually, Electrolux also conducts a risk assessment that forms the basis of the internal and supplier Code of Conduct audits (see SO2-4 Anti-corruption).

By year-end, 38 cases of suspected ethical misconduct had been reported in Latin America since the launch of the Ethics Helpline in June 2011. The geographical coverage of reporting will increase as the Ethics Program is rolled out over the next few years. 
